Entries >
A 2-piece molecular cluster, C2H2ClI overall. Source: the OMol25 dataset; level of theory: ωB97M-V/def2-TZVPD.

Calculated values
HOMO ... -0.3582 Ha
Energy above the lowest of the compared OMol25 structures with the same formula, charge and spin ... 65.6 kcal per mole
Gap between HOMO and LUMO ... 0.3278 hartree
E_tot ... -835.14317 Ha

Bonds (Å) are listed after each position.
Element x y z (Å)
1 C 0.5616 1.3651 -0.0076  C2 1.296, I4 2.190, H5 1.123
2 C 0.6923 0.1427 -0.4163  C1 1.296, I4 2.358
3 Cl -1.4503 -3.1832 1.1316  H6 1.363
4 I -0.2586 1.5784 -2.0271  C1 2.190, C2 2.358
5 H 0.9213 2.3563 0.3795  C1 1.123
6 H -0.4663 -2.2593 0.9398  Cl3 1.363


(1)
Below is a molecular structure, C29H42N4O7OsSSi, with properties calculated with the ωB97M-V functional and the def2-TZVPD basis.

Its largest force on an atom is 0.0056 hartree/bohr. The LUMO energy (spin up / spin down) comes out at -1.443 / -1.441 eV. The HOMO energy (spin up / spin down) is -7.78 / -7.78 eV. The multiplicity is 1. As for the HOMO-LUMO gap (spin up / spin down): 6.34 / 6.34 eV. Its net charge is 0. The value obtained for the energy above the lowest of the compared OMol25 structures with the same formula, charge and spin is 0.000 eV.

Last column: Löwdin charge in e.
Positions of all 85 atoms, in Å:
Os  -0.899  -0.685  0.960  1.5983
C  -0.871  -3.402  -2.445  0.0048
C  -1.404  -2.882  -1.123  -0.5001
C  -2.056  -3.995  -0.318  0.0093
O  -0.318  -2.345  -0.332  -0.1638
C  -2.427  -1.754  -1.343  -0.5574
O  -3.289  -1.835  -2.185  0.1090
O  -2.299  -0.768  -0.495  -0.1633
H  -0.168  -4.217  -2.265  0.0967
H  -0.374  -2.613  -3.005  0.0877
H  -1.706  -3.771  -3.038  0.0980
H  -1.328  -4.785  -0.127  0.0946
H  -2.890  -4.405  -0.886  0.1039
H  -2.443  -3.635  0.636  0.0674
H  0.274  -1.825  -0.964  0.0552
C  3.930  -1.236  -1.103  -0.0044
C  3.538  -1.288  0.345  -0.3006
C  4.499  -1.378  1.348  -0.0417
C  4.083  -1.451  2.666  -0.0522
C  2.730  -1.439  2.951  -0.0268
C  1.837  -1.346  1.883  -0.3764
N  2.234  -1.268  0.618  0.1797
N  0.451  -1.319  2.130  -0.2172
Si  -0.349  -2.179  3.452  0.4383
C  0.204  -3.953  3.459  -0.1483
C  -0.174  -1.337  5.104  -0.1522
C  -2.128  -1.992  2.840  -0.1739
H  4.812  -0.612  -1.248  0.0658
H  3.106  -0.854  -1.703  0.0659
H  4.170  -2.240  -1.462  0.0903
H  5.551  -1.393  1.091  0.1110
H  4.807  -1.512  3.469  0.1117
H  2.374  -1.474  3.972  0.0939
H  1.267  -4.042  3.689  0.0344
H  0.034  -4.396  2.475  0.0341
H  -0.349  -4.537  4.199  0.0403
H  0.709  -1.653  5.661  0.0327
H  -1.050  -1.559  5.720  0.0417
H  -0.141  -0.254  4.970  0.0327
H  -2.286  -1.825  1.730  -0.0108
H  -2.663  -1.209  3.373  0.0464
H  -2.675  -2.931  2.947  0.0635
C  6.846  1.629  -0.953  -0.0521
C  5.545  2.352  -0.736  -0.2734
C  4.831  2.202  0.451  -0.0326
C  3.648  2.890  0.663  -0.0408
C  3.167  3.740  -0.323  -0.2824
C  3.863  3.909  -1.510  -0.0564
C  5.045  3.212  -1.710  -0.0302
S  1.628  4.585  -0.073  0.6218
O  1.530  4.888  1.324  -0.2851
O  1.563  5.604  -1.079  -0.2855
N  0.441  3.522  -0.380  -0.1116
C  0.203  2.990  -1.713  -0.1836
C  0.995  1.734  -2.073  -0.0601
C  0.562  0.467  -1.371  -0.5560
O  0.652  -0.615  -1.950  0.0318
O  0.113  0.650  -0.170  -0.1638
H  7.015  0.880  -0.180  0.0693
H  7.685  2.327  -0.928  0.0855
H  6.866  1.133  -1.924  0.0808
H  5.210  1.543  1.223  0.1074
H  3.110  2.787  1.595  0.1005
H  3.482  4.593  -2.256  0.1159
H  5.593  3.348  -2.635  0.1181
H  0.204  2.918  0.396  0.0768
H  0.435  3.784  -2.423  0.1178
H  -0.866  2.788  -1.798  0.1323
H  2.057  1.868  -1.848  0.1138
H  0.924  1.543  -3.145  0.1310
C  0.697  1.810  2.608  -0.0620
C  -0.798  1.853  2.534  -0.3453
C  -1.618  2.703  3.211  -0.0439
C  -2.962  2.281  2.989  -0.0490
C  -2.927  1.169  2.202  -0.3520
C  -4.092  0.480  1.569  -0.0467
N  -1.589  0.887  1.895  -0.1194
H  1.044  1.218  3.461  0.0710
H  1.071  2.826  2.743  0.0707
H  1.157  1.390  1.715  0.0421
H  -1.288  3.537  3.811  0.1090
H  -3.860  2.769  3.332  0.1029

Activity >
Next, search the listing above for the word "gap" and copy each line that has it.

Done >
Its largest force on an atom is 0.0056 hartree/bohr. The LUMO energy (spin up / spin down) comes out at -1.443 / -1.441 eV. The HOMO energy (spin up / spin down) is -7.78 / -7.78 eV. The multiplicity is 1. As for the HOMO-LUMO gap (spin up / spin down): 6.34 / 6.34 eV. Its net charge is 0. The value obtained for the energy above the lowest of the compared OMol25 structures with the same formula, charge and spin is 0.000 eV.